_Input_
/*
17
Properties=species:S:1:pos:R:3:forces:R:3 method="wB97M-V/def2-TZVPD" smiles="C=C(C)CCC=O" homo_ev=-9.41 charge=0 molar_mass_g_mol=98.145 relative_energy_kj_mol=264.8 lumo_ev=0.6
C 0.944971 0.292367 1.854338 1.7788 -2.1914 0.4521
C 0.159191 0.703274 0.865129 -3.3726 -1.4514 2.1704
C -1.470415 0.800888 1.131858 -0.2938 0.5881 -1.3694
C 0.614592 0.776630 -0.515236 1.5402 -1.1320 -3.5288
C 0.034558 -0.312724 -1.565736 1.5172 0.0102 -1.6941
C 0.510484 -1.823744 -1.337723 -4.8474 0.5065 1.6212
O 0.959780 -2.630444 -2.101791 0.7762 1.1446 0.0756
H 0.631182 -0.170980 2.839592 -0.0214 1.3246 -1.1757
H 2.029791 -0.018978 1.611528 -1.6396 0.9586 0.3369
H -1.757434 1.873098 1.399373 0.3965 -0.9779 -1.3366
H -2.106927 0.341417 0.200786 1.6378 1.5645 2.1808
H -1.959200 0.360238 2.027911 1.2946 -0.6628 -0.3772
H 1.704586 0.589553 -0.680523 -0.5153 0.4179 1.0158
H 0.460911 1.728089 -1.007626 -0.3896 0.4127 0.0822
H -1.075070 -0.108987 -1.643406 1.0348 -1.2735 0.1950
H 0.447468 -0.238229 -2.644869 -0.5000 1.0911 1.6093
H -0.128475 -2.161462 -0.433611 1.6036 -0.3299 -0.2576

* * * * *

Entry w
This record from OMol25 describes a single C4H10N2OS molecule. The level of theory is ωB97M-V/def2-TZVPD.

Last column: Mulliken charge in e.
Geometry (Å):
1 C -1.5703 -0.5599 1.1389  -1.024
2 C -1.4078 -0.0853 -0.2203  -0.268
3 N -0.5174 -0.6614 -1.1719  -0.399
4 C 0.6966 -0.8341 -0.4189  0.041
5 S 1.3823 -2.2598 -0.1435  -0.414
6 N 1.2652 0.3573 0.1070  0.303
7 C 1.1166 1.6287 -0.5613  -0.967
8 O 2.4592 0.2619 0.8298  -0.421
9 H -2.1754 0.1857 1.8232  0.293
10 H -0.6386 -0.9148 1.5931  0.315
11 H -2.1441 -1.5217 1.0167  0.309
12 H -1.1054 0.9288 -0.1934  0.190
13 H -2.5077 -0.1498 -0.6154  0.364
14 H -0.7427 -1.6904 -1.3979  0.406
15 H 0.2148 1.3458 -1.2900  0.424
16 H 0.8660 2.4227 0.1635  0.285
17 H 1.9814 2.1404 -1.0172  0.239
18 H 2.8271 -0.5942 0.3575  0.322

Properties
HOMO energy (Eh): -0.3289
SMILES: CCNC(=S)N(C)O
Orbital gap (eV): 9.64



Entry x
This record from OMol25 describes 2 unconnected molecules or ions with the total composition C4H10N2OS. The level of theory is ωB97M-V/def2-TZVPD.

Last column: Mulliken charge in e.
Geometry (Å):
1 C -3.3801 -0.0559 -0.2026  -0.545
2 C 1.6902 -0.4161 0.8884  -0.774
3 C 0.1657 -0.0916 0.6557  -0.530
4 C 2.2630 -0.2647 -0.5958  -0.451
5 N 0.1182 0.5418 -0.6728  -0.303
6 N 1.0658 -0.1960 -1.4336  -0.487
7 O -2.2872 2.1069 0.6404  -0.537
8 S -2.5362 1.2829 -0.5638  0.385
9 H -3.6128 -0.4767 0.7127  0.348
10 H -3.6852 -0.8301 -0.9060  0.315
11 H 2.0246 0.1744 1.6626  0.397
12 H 1.7783 -1.3485 1.1945  0.341
13 H -0.2322 -1.1697 0.7206  0.272
14 H -0.1219 0.5823 1.4255  0.397
15 H 2.8569 0.6662 -0.4716  0.185
16 H 3.0227 -0.9853 -0.8627  0.402
17 H 0.2868 1.5002 -0.4402  0.306
18 H 0.5832 -1.0201 -1.7513  0.279

Properties
HOMO energy (Eh): -0.3334
Orbital gap (eV): 9.37



Entry y
This record from OMol25 describes a single C4H10N2OS molecule. The level of theory is ωB97M-V/def2-TZVPD.

Last column: Mulliken charge in e.
Geometry (Å):
1 C -0.4414 2.5928 2.6966  -0.638
2 N 0.3256 1.5274 2.0219  -0.208
3 N -0.4376 0.4064 1.9109  -0.411
4 C -0.0970 -0.4325 1.0148  -0.261
5 O 1.0021 -0.3561 0.2934  -0.444
6 C 1.0772 -1.2127 -0.9214  -0.481
7 S 0.1482 -0.6142 -2.4287  -0.026
8 C -1.4211 -1.2578 -1.8631  -0.781
9 H -1.6826 2.7269 2.3163  0.207
10 H -0.3796 2.1967 3.8094  0.210
11 H -0.0733 3.6001 2.6617  0.343
12 H 0.6467 1.5978 1.0755  0.234
13 H -0.4927 -1.3678 0.8932  0.748
14 H 0.7388 -2.3216 -0.7293  0.306
15 H 2.1919 -1.4139 -0.9667  0.323
16 H -1.4114 -2.3747 -2.1311  0.271
17 H -2.1349 -0.6506 -2.6513  0.264
18 H -1.7152 -0.9912 -0.8574  0.345

Properties
HOMO energy (Eh): -0.3005
SMILES: CN/N=C\OCSC
Orbital gap (eV): 8.92



Entry z
This record from OMol25 describes a molecular structure, C4H10N2OS. The level of theory is ωB97M-V/def2-TZVPD.

Last column: Mulliken charge in e.
Geometry (Å):
1 C 1.5077 0.0864 -0.0245  0.188
2 C 0.6844 -0.8766 0.1378  0.248
3 C 1.1890 1.5563 -0.0353  -1.194
*/

_Exercise_
What is needed: find "-1.4078 -0.0853" and "-0.414" in the data further up, and reproduce these two lines and those between.

_Worked solution_
2 C -1.4078 -0.0853 -0.2203  -0.268
3 N -0.5174 -0.6614 -1.1719  -0.399
4 C 0.6966 -0.8341 -0.4189  0.041
5 S 1.3823 -2.2598 -0.1435  -0.414